**Data:**
ORCA calculation (ωB97M-V/def2-TZVPD) on 8 unconnected molecules or ions with the total composition C53H43N2O19P in a non-equilibrium geometry.

Calculated values
Largest force on an atom in eV/Å: 2.29
Structure (SMILES): CCOCC1=C([PH2]=N)C(=O)C(CON=O)=C(C)C1=O.O=C1C=CC(=O)C=C1.O=C1C=CC(=O)C=C1.O=C1C=CC(=O)C=C1.O=C1C=CC(=O)C=C1.O=C1C=CC(=O)C=C1.O=C1C=CC(=O)C=C1.O=C1C=CC(=O)C=C1
E_LUMO in eV: -1.98
E_tot in Eh: -3925.39100

Each line ends with the Löwdin charge.
Cartesian coordinates (Å):
H: -7.317 -3.598 -1.616  0.021
O: 7.166 4.628 -1.106  0.101
H: -1.396 5.744 -3.305  0.124
O: -9.260 -10.547 4.347  0.114
C: 3.873 -0.229 -4.468  0.018
C: -2.369 -1.616 -2.699  -0.135
H: -8.543 -4.671 0.560  0.067
H: 4.998 5.666 4.933  0.113
C: -3.009 4.663 -2.289  -0.382
C: -1.375 -2.348 1.475  0.016
H: -0.365 3.706 -4.301  0.123
C: -0.372 -3.607 3.844  0.022
O: 2.128 -0.299 -2.894  0.102
O: -0.468 -1.452 4.785  0.108
H: 8.447 4.341 1.527  0.116
C: 6.582 4.494 -3.382  0.026
H: -1.754 -1.957 0.535  0.078
C: 6.180 7.340 7.646  -0.380
C: -0.655 -2.148 3.811  -0.385
H: 4.594 -0.368 -3.671  0.116
H: 6.398 5.561 -3.402  0.124
O: -1.289 -4.499 0.535  0.100
C: 1.435 0.002 -5.131  0.023
O: 6.539 1.562 -5.374  0.091
C: 7.648 9.775 8.036  -0.386
C: 7.456 7.592 6.932  0.022
C: 6.371 9.522 8.749  0.022
H: -4.246 -3.873 0.179  0.139
H: -8.343 -3.094 1.389  0.081
H: 5.268 -0.132 -6.054  0.103
H: 6.695 5.992 0.919  0.105
H: -4.201 -2.195 0.678  0.122
C: -2.951 -1.960 -3.849  -0.100
C: -6.496 -4.137 0.879  -0.287
H: -1.375 -0.516 2.536  0.127
C: -1.248 3.664 -3.676  0.027
H: -9.501 -9.466 2.001  0.124
C: 3.225 0.086 -6.811  -0.377
H: -5.563 -8.091 4.805  0.122
C: 7.735 4.049 3.579  -0.388
C: -6.426 -8.419 4.239  0.021
C: 5.691 8.393 8.569  0.021
O: -3.508 5.653 -1.804  0.117
O: -1.319 1.326 -3.927  0.070
H: -0.543 -1.544 -1.581  0.091
N: -7.126 -3.917 -4.020  -0.302
H: 6.106 4.116 -5.411  0.125
C: -3.204 -1.538 -1.477  -0.287
C: 5.760 5.350 4.232  0.013
C: -6.596 -7.820 2.893  -0.383
C: -4.421 -2.220 -3.817  -0.313
C: -7.770 -8.250 2.094  0.019
C: -8.639 -9.139 2.567  0.025
C: 7.125 1.695 -3.099  0.023
H: -0.806 -0.237 -2.741  0.066
C: -1.823 2.320 -3.438  -0.348
H: -1.590 -1.165 -5.229  0.108
C: -7.962 -4.099 1.277  -0.057
O: -1.375 -3.188 -5.320  -0.103
C: 5.709 5.957 2.878  -0.381
C: -8.470 -9.739 3.915  -0.385
C: -2.229 -2.037 -5.162  -0.109
H: 7.310 0.628 -3.078  0.124
H: -0.339 -1.834 -3.319  0.077
P: -6.409 -3.949 -2.626  0.778
C: 6.685 2.264 -4.396  -0.372
C: 2.448 -0.186 -4.060  -0.372
H: 6.032 10.303 9.417  0.123
H: -5.902 -4.318 1.772  0.110
C: -4.980 -2.799 -2.538  -0.162
H: 9.069 8.924 6.601  0.123
C: -4.704 -2.897 0.016  -0.163
H: -3.432 1.236 -2.424  0.111
H: -6.283 -4.903 0.139  0.087
H: -2.958 -2.051 -5.963  0.128
C: 6.426 3.723 -4.454  0.029
C: -0.916 -1.310 -2.571  -0.002
H: -8.090 -3.636 -3.919  -0.044
H: 7.795 6.810 6.264  0.112
C: -7.293 -9.308 4.713  0.023
C: 6.699 4.465 4.557  0.013
H: 6.751 4.012 5.539  0.123
H: 0.403 0.035 -4.819  0.075
C: -1.798 4.752 -3.144  0.028
O: 4.853 6.763 2.582  0.107
C: 6.746 5.541 1.901  0.016
C: 7.281 2.466 -2.026  0.029
C: -1.174 -1.580 2.542  0.038
O: 8.593 3.244 3.876  0.100
H: 0.004 -4.001 4.779  0.121
H: 4.759 8.189 9.080  0.122
O: 5.559 6.312 7.480  0.096
O: -1.769 -5.199 -4.730  0.107
C: -3.582 3.314 -2.053  0.036
H: -8.061 -4.649 2.207  0.067
C: -4.383 -2.454 -1.392  -0.084
O: -2.894 -0.781 -0.573  0.086
O: 8.268 10.801 8.202  0.111
H: -7.875 -7.800 1.115  0.120
C: -0.576 -4.375 2.777  0.021
H: -4.465 3.269 -1.427  0.127
N: -1.526 -4.157 -4.285  -0.018
H: -7.188 -9.758 5.692  0.123
O: -5.804 -7.010 2.460  0.096
H: 7.600 2.072 -1.069  0.124
O: -6.078 -2.870 0.337  -0.165
H: -0.377 -5.439 2.780  0.121
H: -5.908 -5.237 -2.330  0.015
C: 4.237 -0.103 -5.741  0.015
C: -3.031 2.228 -2.585  0.038
C: -1.095 -3.802 1.510  -0.380
C: 7.684 4.657 2.227  0.017
O: -5.120 -1.927 -4.776  0.111
C: 8.137 8.720 7.112  0.025
O: 3.551 0.201 -7.972  0.113
C: 7.022 3.926 -2.084  -0.370
H: 1.076 0.269 -7.201  0.123

**Brief:**
Reproduce the whole of the data further up word for word.

**Response:**
ORCA calculation (ωB97M-V/def2-TZVPD) on 8 unconnected molecules or ions with the total composition C53H43N2O19P in a non-equilibrium geometry.

Calculated values
Largest force on an atom in eV/Å: 2.29
Structure (SMILES): CCOCC1=C([PH2]=N)C(=O)C(CON=O)=C(C)C1=O.O=C1C=CC(=O)C=C1.O=C1C=CC(=O)C=C1.O=C1C=CC(=O)C=C1.O=C1C=CC(=O)C=C1.O=C1C=CC(=O)C=C1.O=C1C=CC(=O)C=C1.O=C1C=CC(=O)C=C1
E_LUMO in eV: -1.98
E_tot in Eh: -3925.39100

Each line ends with the Löwdin charge.
Cartesian coordinates (Å):
H: -7.317 -3.598 -1.616  0.021
O: 7.166 4.628 -1.106  0.101
H: -1.396 5.744 -3.305  0.124
O: -9.260 -10.547 4.347  0.114
C: 3.873 -0.229 -4.468  0.018
C: -2.369 -1.616 -2.699  -0.135
H: -8.543 -4.671 0.560  0.067
H: 4.998 5.666 4.933  0.113
C: -3.009 4.663 -2.289  -0.382
C: -1.375 -2.348 1.475  0.016
H: -0.365 3.706 -4.301  0.123
C: -0.372 -3.607 3.844  0.022
O: 2.128 -0.299 -2.894  0.102
O: -0.468 -1.452 4.785  0.108
H: 8.447 4.341 1.527  0.116
C: 6.582 4.494 -3.382  0.026
H: -1.754 -1.957 0.535  0.078
C: 6.180 7.340 7.646  -0.380
C: -0.655 -2.148 3.811  -0.385
H: 4.594 -0.368 -3.671  0.116
H: 6.398 5.561 -3.402  0.124
O: -1.289 -4.499 0.535  0.100
C: 1.435 0.002 -5.131  0.023
O: 6.539 1.562 -5.374  0.091
C: 7.648 9.775 8.036  -0.386
C: 7.456 7.592 6.932  0.022
C: 6.371 9.522 8.749  0.022
H: -4.246 -3.873 0.179  0.139
H: -8.343 -3.094 1.389  0.081
H: 5.268 -0.132 -6.054  0.103
H: 6.695 5.992 0.919  0.105
H: -4.201 -2.195 0.678  0.122
C: -2.951 -1.960 -3.849  -0.100
C: -6.496 -4.137 0.879  -0.287
H: -1.375 -0.516 2.536  0.127
C: -1.248 3.664 -3.676  0.027
H: -9.501 -9.466 2.001  0.124
C: 3.225 0.086 -6.811  -0.377
H: -5.563 -8.091 4.805  0.122
C: 7.735 4.049 3.579  -0.388
C: -6.426 -8.419 4.239  0.021
C: 5.691 8.393 8.569  0.021
O: -3.508 5.653 -1.804  0.117
O: -1.319 1.326 -3.927  0.070
H: -0.543 -1.544 -1.581  0.091
N: -7.126 -3.917 -4.020  -0.302
H: 6.106 4.116 -5.411  0.125
C: -3.204 -1.538 -1.477  -0.287
C: 5.760 5.350 4.232  0.013
C: -6.596 -7.820 2.893  -0.383
C: -4.421 -2.220 -3.817  -0.313
C: -7.770 -8.250 2.094  0.019
C: -8.639 -9.139 2.567  0.025
C: 7.125 1.695 -3.099  0.023
H: -0.806 -0.237 -2.741  0.066
C: -1.823 2.320 -3.438  -0.348
H: -1.590 -1.165 -5.229  0.108
C: -7.962 -4.099 1.277  -0.057
O: -1.375 -3.188 -5.320  -0.103
C: 5.709 5.957 2.878  -0.381
C: -8.470 -9.739 3.915  -0.385
C: -2.229 -2.037 -5.162  -0.109
H: 7.310 0.628 -3.078  0.124
H: -0.339 -1.834 -3.319  0.077
P: -6.409 -3.949 -2.626  0.778
C: 6.685 2.264 -4.396  -0.372
C: 2.448 -0.186 -4.060  -0.372
H: 6.032 10.303 9.417  0.123
H: -5.902 -4.318 1.772  0.110
C: -4.980 -2.799 -2.538  -0.162
H: 9.069 8.924 6.601  0.123
C: -4.704 -2.897 0.016  -0.163
H: -3.432 1.236 -2.424  0.111
H: -6.283 -4.903 0.139  0.087
H: -2.958 -2.051 -5.963  0.128
C: 6.426 3.723 -4.454  0.029
C: -0.916 -1.310 -2.571  -0.002
H: -8.090 -3.636 -3.919  -0.044
H: 7.795 6.810 6.264  0.112
C: -7.293 -9.308 4.713  0.023
C: 6.699 4.465 4.557  0.013
H: 6.751 4.012 5.539  0.123
H: 0.403 0.035 -4.819  0.075
C: -1.798 4.752 -3.144  0.028
O: 4.853 6.763 2.582  0.107
C: 6.746 5.541 1.901  0.016
C: 7.281 2.466 -2.026  0.029
C: -1.174 -1.580 2.542  0.038
O: 8.593 3.244 3.876  0.100
H: 0.004 -4.001 4.779  0.121
H: 4.759 8.189 9.080  0.122
O: 5.559 6.312 7.480  0.096
O: -1.769 -5.199 -4.730  0.107
C: -3.582 3.314 -2.053  0.036
H: -8.061 -4.649 2.207  0.067
C: -4.383 -2.454 -1.392  -0.084
O: -2.894 -0.781 -0.573  0.086
O: 8.268 10.801 8.202  0.111
H: -7.875 -7.800 1.115  0.120
C: -0.576 -4.375 2.777  0.021
H: -4.465 3.269 -1.427  0.127
N: -1.526 -4.157 -4.285  -0.018
H: -7.188 -9.758 5.692  0.123
O: -5.804 -7.010 2.460  0.096
H: 7.600 2.072 -1.069  0.124
O: -6.078 -2.870 0.337  -0.165
H: -0.377 -5.439 2.780  0.121
H: -5.908 -5.237 -2.330  0.015
C: 4.237 -0.103 -5.741  0.015
C: -3.031 2.228 -2.585  0.038
C: -1.095 -3.802 1.510  -0.380
C: 7.684 4.657 2.227  0.017
O: -5.120 -1.927 -4.776  0.111
C: 8.137 8.720 7.112  0.025
O: 3.551 0.201 -7.972  0.113
C: 7.022 3.926 -2.084  -0.370
H: 1.076 0.269 -7.201  0.123